(Data)
'''
Computed, not measured: a 13-piece molecular cluster, C97H216N14O17 overall, with the ωB97M-V functional and the def2-TZVPD basis.

Positions of all 344 atoms, in Å:
1 C -1.61458 2.51823 -7.21620
2 O -1.72995 2.22361 -5.83362
3 C -2.05845 0.78903 -5.57298
4 C -3.60971 0.58319 -5.74702
5 N -3.99567 -0.79821 -5.71863
6 C -5.28879 -1.18062 -6.32527
7 C -6.48419 -0.61027 -5.53648
8 O -6.48400 -1.16740 -4.21014
9 C -7.72477 -1.18803 -3.54393
10 H -1.44617 3.57743 -7.41068
11 H -2.59073 2.52199 -7.70120
12 H -1.00638 1.78579 -7.74697
13 H -1.74521 0.56360 -4.55359
14 H -1.57422 0.07409 -6.23818
15 H -3.83784 0.94274 -6.75040
16 H -4.20033 1.20257 -5.07201
17 H -4.18339 -1.18152 -4.80324
18 H -5.31809 -2.26639 -6.41662
19 H -5.36663 -0.89366 -7.37394
20 H -7.38317 -0.94643 -6.05313
21 H -6.51088 0.47940 -5.53310
22 H -8.09761 -0.21270 -3.23118
23 H -7.61465 -1.68271 -2.57891
24 H -8.56551 -1.63999 -4.07021
25 C 2.49772 2.53227 -8.19104
26 O 2.76552 1.34628 -7.45744
27 C 1.96755 1.08317 -6.22520
28 C 1.78997 -0.46868 -5.96007
29 N 2.97986 -1.06397 -5.34310
30 C 3.09865 -2.52274 -5.64353
31 C 2.09520 -3.30510 -4.77833
32 O 2.10302 -2.96415 -3.41703
33 C 1.83213 -4.05752 -2.56567
34 H 1.93320 3.26488 -7.61424
35 H 1.83092 2.27769 -9.01486
36 H 3.39881 2.97279 -8.61774
37 H 0.97995 1.51190 -6.39530
38 H 2.39297 1.58624 -5.35685
39 H 1.52909 -1.02348 -6.86131
40 H 0.78656 -0.52472 -5.53802
41 H 3.04149 -0.92737 -4.34428
42 H 4.05703 -3.00593 -5.45344
43 H 2.98481 -2.81221 -6.68820
44 H 2.28448 -4.37844 -4.79214
45 H 1.07452 -3.26321 -5.15856
46 H 0.87495 -4.57752 -2.60433
47 H 1.89370 -3.69597 -1.53922
48 H 2.50841 -4.91082 -2.61696
49 C -2.10646 -3.96424 5.48435
50 O -2.75751 -3.01372 4.63183
51 C -4.09215 -2.64532 5.17009
52 C -4.95773 -1.89974 4.13241
53 N -5.44646 -2.81821 3.08943
54 C -4.45943 -3.36179 2.23172
55 C -5.29771 -3.81445 0.99413
56 O -6.10935 -2.78976 0.39480
57 C -5.42708 -1.67446 -0.25829
58 H -1.19188 -4.29966 4.99535
59 H -2.81137 -4.79376 5.54012
60 H -1.98780 -3.43491 6.42978
61 H -4.01048 -1.98202 6.03117
62 H -4.62852 -3.54226 5.47977
63 H -4.40437 -1.18579 3.52234
64 H -5.75437 -1.29355 4.56368
65 H -6.13216 -2.40479 2.47379
66 H -3.94021 -4.19327 2.70832
67 H -3.79816 -2.64340 1.74723
68 H -5.84908 -4.72895 1.21271
69 H -4.60465 -4.12337 0.21161
70 H -5.03183 -0.94464 0.44828
71 H -6.02094 -1.07448 -0.94784
72 H -4.61713 -2.00593 -0.90805
73 C -0.90390 -5.68221 -4.99247
74 O -2.25194 -5.46362 -4.79848
75 C -2.60023 -4.31348 -3.99920
76 C -4.02562 -4.26605 -3.37090
77 N -4.17217 -5.39554 -2.50400
78 C -5.51961 -5.67244 -2.14941
79 C -5.41927 -7.02287 -1.44097
80 O -5.00700 -8.03248 -2.39161
81 C -4.73583 -9.27932 -1.85006
82 H -0.33304 -6.08101 -4.15392
83 H -0.42854 -4.80005 -5.42133
84 H -0.77719 -6.44307 -5.76261
85 H -2.43719 -3.47452 -4.67571
86 H -1.89875 -4.22735 -3.16937
87 H -4.72736 -4.16438 -4.19874
88 H -4.00822 -3.35006 -2.78033
89 H -3.61566 -6.17760 -2.81828
90 H -6.10564 -5.73723 -3.06618
91 H -5.99709 -4.90220 -1.54374
92 H -6.33149 -7.39355 -0.97348
93 H -4.63150 -7.01842 -0.68765
94 H -5.61841 -9.61992 -1.30865
95 H -3.74923 -9.41052 -1.40563
96 H -4.73672 -10.03675 -2.63389
97 C 1.40793 5.72513 -1.75907
98 C 1.90463 5.37526 -3.16515
99 C 1.43910 6.53802 -4.07037
100 C 2.07061 6.63232 -5.46363
101 C 3.60736 6.64866 -5.19086
102 C 4.16632 5.43136 -4.34775
103 N 3.35669 5.23504 -3.10436
104 O 3.74037 4.13484 -2.23867
105 C 4.20743 4.16971 -5.25558
106 C 5.60393 5.82263 -4.02016
107 C 1.16048 4.14881 -3.78089
108 H 1.49770 4.91847 -1.03151
109 H 0.32940 5.87785 -1.79850
110 H 1.93074 6.51849 -1.22488
111 H 0.36122 6.45080 -4.20701
112 H 1.55578 7.46026 -3.50118
113 H 1.74607 7.52387 -6.00021
114 H 1.85356 5.77263 -6.09760
115 H 3.88120 7.55601 -4.65251
116 H 4.09738 6.63511 -6.16442
117 H 4.39593 3.18323 -4.83200
118 H 3.29720 4.06253 -5.84557
119 H 5.01687 4.37694 -5.95555
120 H 6.24313 6.08524 -4.86310
121 H 5.62813 6.71094 -3.38895
122 H 6.10192 4.99900 -3.50855
123 H 0.11711 4.18716 -3.46783
'''

(What to do)
Please say how many lines of the block earlier on hold the word "functional", as a bare number.

(Done)
1